Opinion Survey - Results SS 2011 (Groups A + B combined)
Your ranking of problems in the the US Austria 1) Health Care3.2 2) Crime3.6 3) Poverty4.1 4) Unemployment4.2 5) Guns4.7 6) Racism6.3 7) Drugs6.6 8) Immigration6.7 9) Discrim./Women7.5 10) Education8.1 1) Immigration3.3 2) Education3.3 3) Racism3.8 4) Unemployment4.6 5) Poverty5.3 6) Discrim./Women5.6 7) Health care6.3 8) Crime6.3 9) Drugs7.4 10) Guns9.2
## Here the piece breaks off for calculated crystals
No. 1
{"formula": "Ac2Tb3Co2", "functional": "PBE", "state": "relaxed", "magnetic_moment_mub_per_cell": 0.00, "dos_at_fermi_per_ev_atom": 1.0138, "energy_ev_per_atom": -5.27, "space_group": "C2/m (12)", "density_g_cm3": 8.8, "ef_mev_per_atom": -84, "crystal_system": "monoclinic", "lattice_angstrom": [[-3.7125, 0.8046, -0.3136], [-2.6982, -4.8032, -3.5443], [-3.6459, -5.5880, 5.6612]], "species": ["Ac", "Ac", "Tb", "Tb", "Tb", "Co", "Co"], "fractional_positions": [[0.1687, 0.4552, 0.2073], [0.8313, 0.5448, 0.7927], [0.5000, 0.0000, 0.0000], [0.3772, 0.8274, 0.4182], [0.6228, 0.1726, 0.5818], [0.1743, 0.8998, 0.7515], [0.8257, 0.1002, 0.2485]]}

---

No. 2
{"formula": "CsScTl", "functional": "PBE", "state": "relaxed", "magnetic_moment_mub_per_cell": 0.44, "relative_energy_mev_per_atom": 0.0, "dos_at_fermi_per_ev_atom": 0.9080, "energy_ev_per_atom": -3.23, "space_group": "P4/nmm (129)", "density_g_cm3": 5.4, "ef_mev_per_atom": -48, "crystal_system": "tetragonal", "lattice_angstrom": [[3.9409, 0.0000, 0.0000], [0.0000, 15.0813, 0.0000], [0.0000, 0.0000, 3.9396]], "species": ["Cs", "Cs", "Sc", "Sc", "Tl", "Tl"], "fractional_positions": [[0.0000, 0.8348, 0.5000], [0.5000, 0.1652, 0.0000], [0.0000, 0.5637, 0.5000], [0.5000, 0.4363, 0.0000], [0.0000, 0.3509, 0.5000], [0.5000, 0.6491, 0.0000]]}

---

No. 3
{"formula": "InWBr", "functional": "PBE", "state": "relaxed", "magnetic_moment_mub_per_cell": 0.00, "relative_energy_mev_per_atom": 173.0, "formation_energy_uncorrected_kj_per_mol_fu": 201.1, "dos_at_fermi_per_ev_atom": 0.2727, "energy_ev_per_atom": -5.09, "space_group": "I4mm (107)", "density_g_cm3": 9.3, "crystal_system": "tetragonal", "lattice_angstrom": [[-4.1264, 5.7168, -3.0188], [-4.8499, 2.2978, -5.4792], [2.8327, -4.5482, 5.4874]], "species": ["Br", "W", "In"], "fractional_positions": [[0.0421, 0.0421, 0.0000], [0.6535, 0.6535, 0.0000], [0.3044, 0.3044, 0.0000]]}

---

No. 4
{"formula": "TiBi2H", "functional": "PBE", "state": "relaxed", "magnetic_moment_mub_per_cell": 0.91, "relative_energy_mev_per_atom": 190.9, "dos_at_fermi_per_ev_atom": 1.2429, "energy_ev_per_atom": -4.20, "space_group": "Fm-3m (225)", "density_g_cm3": 9.1, "crystal_system": "cubic", "lattice_angstrom": [[0.0000, 3.4946, 3.4946], [3.4946, 0.0000, 3.4946], [3.4946, 3.4946, 0.0000]], "species": ["H", "Bi", "Bi", "Ti"], "fractional_positions": [[0.0000, 0.0000, 0.0000], [0.2500, 0.2500, 0.2500], [0.7500, 0.7500, 0.7500], [0.5000, 0.5000, 0.5000]]}

---

No. 5
## So much for the calculated crystals
Your ranking of problems in the the US Austria 1) Health Care3.2 2) Crime3.6 3) Poverty4.1 4) Unemployment4.2 5) Guns4.7 6) Racism6.3 7) Drugs6.6 8) Immigration6.7 9) Discrim./Women7.5 10) Education8.1 1) Immigration3.3 2) Education3.3 3) Racism3.8 4) Unemployment4.6 5) Poverty5.3 6) Discrim./Women5.6 7) Health care6.3 8) Crime6.3 9) Drugs7.4 10) Guns9.2
"The illegal drug problem in Austria is getting worse." AgreeDisagree 38%41% = 11 (agree completely and agree) = 12 (disagree and disagree completely)
"There should be harsher punishments for drug users." AgreeDisagree 38%41% = 11 (agree completely and agree) = 12 (disagree and disagree completely)
"There is a clear difference between legal (pharmaceutical) and illegal drugs." AgreeDisagree 52%38% = 15 (agree completely and agree) = 11 (disagree and disagree completely)
"Most black people in the US are poor." AgreeDisagree 28%45% = 8 (agree completely and agree) = 13 (disagree and disagree completely)
"Racism is not a problem in Austria." AgreeDisagree 3%90% = 1 (agree completely and agree) = 26 (disagree and disagree completely)
-- begin --
A plane-wave DFT calculation with PBE was carried out for crystalline P3C at its relaxed geometry.

Geometry as POSCAR:
```
P3C
1.0
-1.891 0.676 -2.075
-1.097 -2.501 0.185
-4.933 2.565 5.445
P C
3 1
Direct
0.919 0.000 0.847
0.901 0.000 0.567
0.428 0.500 0.152
0.425 0.000 0.996
```

Values from the calculation:
ΔE to the lowest computed polymorph ... 0.46 eV/f.u.
Energy relative to the elements ... 523 meV per atom
V ... 61.5 Å³ per cell
Space-group type ... Pm (6)
Magnetization ... 0.00 Bohr magnetons per cell

=====

The following is a GGA-PBE calculation of a geometry-optimized Y8AgPt2 structure, from Alexandria via LeMat-Bulk.

Cell: 5.607 7.922 7.922 Å, 114.31 98.10 98.10°
Sites, in units of the cell vectors:
1 Y 0.589 0.081 0.334
2 Y 0.000 0.241 0.765
3 Y 0.410 0.672 0.925
4 Y 0.189 0.382 0.382
5 Y 0.000 0.765 0.241
6 Y 0.410 0.925 0.672
7 Y 0.589 0.334 0.081
8 Y 0.810 0.624 0.624
9 Pt 0.500 0.699 0.307
10 Pt 0.500 0.307 0.699
11 Ag 0.003 0.003 0.003

Results
The total energy is -6.497 eV/atom. The formation energy comes out at -0.438 eV per atom. The value obtained for the density of states at the Fermi level is 1.410 states/eV/atom. The volume comes out at 28.15 Å³ per atom. As for the spin magnetization: 0.00 μB per atom.

=====

The following is a GGA-PBE calculation of a geometry-optimized AcPt4I structure, from Alexandria via LeMat-Bulk.

Cell: 5.616 5.616 5.616 Å, 60.00 60.00 60.00°
Sites, in units of the cell vectors:
1 Pt 0.625 0.625 0.625
2 Pt 0.625 0.625 0.125
3 Pt 0.125 0.625 0.625
4 Pt 0.625 0.125 0.625
5 I 0.000 0.000 0.000
6 Ac 0.250 0.250 0.250

Results
The total energy is -5.494 eV/atom. For the formation energy (no corrections), the calculation gives -0.524 eV per atom. The value obtained for the density of states at the Fermi level is 1.415 states/eV/atom. The volume comes out at 20.87 Å³ per atom. As for the spin magnetization: 0.00 μB per atom.

=====

A | This record from Alexandria via LeMat-Bulk describes a geometry-optimized Pr3YTl4 structure. The functional is PBE.

## Properties
Its density of states at the Fermi level is 6.7 states/eV per cell.

Lattice parameters (Å, degrees): 3.762 7.383 10.184 111.25 100.64 90.00
Each line ends with the local moment (μB).
Fractional positions:
1 Pr 0.000 0.500 0.000  -0.01
2 Pr 0.216 0.216 0.432  -0.01
3 Pr 0.784 0.784 0.568  -0.01
4 Y 0.500 0.000 0.000  0.15
5 Tl 0.374 0.589 0.749  0.00
6 Tl 0.626 0.411 0.251  0.00
7 Tl 0.626 0.840 0.251  0.00
8 Tl 0.374 0.160 0.749  0.00

B | This record from Alexandria via LeMat-Bulk describes a geometry-optimized Pr3YTl4 structure. The functional is PBE.

## Properties
Its density of states at the Fermi level is 6.2 states/eV per cell.

Lattice parameters (Å, degrees): 3.874 3.874 15.811 90.00 90.00 90.00
Fractional positions:
1 Pr 0.500 0.500 0.244
2 Pr 0.500 0.500 0.500
3 Pr 0.500 0.500 0.756
4 Y 0.500 0.500 0.000
5 Tl 0.000 0.000 0.885
6 Tl 0.000 0.000 0.115
7 Tl 0.000 0.000 0.372
8 Tl 0.000 0.000 0.628
-- stop --
-- So much for the crystal structures --
"Austria is a multicultural society." AgreeDisagree 28%66% = 8 (agree completely and agree) = 19 (disagree and disagree completely)
"It is very difficult to buy a gun in Austria." AgreeDisagree 62%28% = 18 (agree completely and agree) = 8 (disagree and disagree completely)
"Most Americans own a gun." AgreeDisagree 45%28% = 13 (agree completely and agree) = 8 (disagree and disagree completely)
"Guns don't kill. People do." AgreeDisagree 72%24% = 21 (agree completely and agree) = 7 (disagree and disagree completely)
" More laws are needed in Austria to protect women." AgreeDisagree 38% = 11 (agree completely and agree) = 11 (disagree and disagree completely)
Materials data, as found in the file >
........
Entry from Alexandria via LeMat-Bulk: a relaxed DySc2Ag3S6 crystal (PBE).

Cell lengths 6.749, 6.749, 7.807 Å; angles 98.02, 98.02, 119.98 degrees
Positions (direct):
Dy  0.000  0.000  0.000
Sc  0.333  0.667  0.000
Sc  0.667  0.333  0.000
Ag  0.178  0.822  0.500
Ag  0.500  0.500  0.500
Ag  0.822  0.178  0.500
S  0.060  0.711  0.185
S  0.289  0.940  0.815
S  0.408  0.408  0.185
S  0.592  0.592  0.815
S  0.711  0.060  0.185
S  0.940  0.289  0.815

theoretical density = 4314 kg/m³
uncorrected formation energy = -1.2382 eV per atom
volume = 24.65 Å³/atom
crystal system = monoclinic

***

Entry from Alexandria via LeMat-Bulk: a relaxed Dy3ScAg4S8 crystal (PBE).

Cell lengths 8.051, 8.051, 9.053 Å; angles 119.01, 119.01, 59.72 degrees
Positions (direct):
Dy  0.000  0.000  0.000
Dy  0.000  0.500  0.000
Dy  0.500  0.000  0.000
Sc  0.500  0.500  0.000
Ag  0.000  0.000  0.500
Ag  0.000  0.500  0.500
Ag  0.500  0.000  0.500
Ag  0.500  0.500  0.500
S  0.097  0.097  0.811
S  0.113  0.592  0.815
S  0.408  0.408  0.186
S  0.408  0.887  0.185
S  0.592  0.113  0.815
S  0.592  0.592  0.814
S  0.887  0.408  0.185
S  0.903  0.903  0.189

theoretical density = 4824 kg/m³
uncorrected formation energy = -1.2767 eV per atom
volume = 26.25 Å³/atom
crystal system = monoclinic

***

Entry from Alexandria via LeMat-Bulk: a relaxed Dy6AgSe3S2 crystal (PBE).

Cell lengths 9.053, 9.053, 8.245 Å; angles 103.26, 103.26, 25.34 degrees
Positions (direct):
Dy  0.005  0.005  0.256
Dy  0.329  0.329  0.429
Dy  0.331  0.331  0.899
Dy  0.669  0.669  0.101
Dy  0.671  0.671  0.571
Dy  0.995  0.995  0.744
Ag  0.500  0.500  0.000
Se  0.166  0.166  0.832
Se  0.500  0.500  0.500
Se  0.834  0.834  0.168
S  0.169  0.169  0.337
S  0.831  0.831  0.663

theoretical density = 8174 kg/m³
uncorrected formation energy = -1.5613 eV per atom
volume = 23.43 Å³/atom
crystal system = monoclinic

***

Entry from Alexandria via LeMat-Bulk: a relaxed DyAgSn2S4 crystal (PBE).

Cell lengths 6.877, 4.032, 7.144 Å; angles 90.00, 109.30, 90.00 degrees
Positions (direct):
Dy  0.000  0.000  0.000
Ag  0.500  0.500  0.000
Sn  0.000  0.500  0.500
Sn  0.500  0.000  0.500
S  0.235  0.500  0.235
S  0.248  0.000  0.765
S  0.752  0.000  0.235
S  0.765  0.500  0.765

theoretical density = 5649 kg/m³
uncorrected formation energy = -0.7955 eV per atom
volume = 23.37 Å³/atom
crystal system = monoclinic

***

Entry from Alexandria via LeMat-Bulk: a relaxed Dy3Ag3SnS8 crystal (PBE).

Cell lengths 7.786, 7.786, 7.807 Å; angles 118.97, 118.97, 61.15 degrees
Positions (direct):
Dy  0.000  0.000  0.000
Dy  0.000  0.500  0.500
Dy  0.500  0.000  0.500
Ag  0.000  0.500  0.000
Ag  0.500  0.000  0.000
Ag  0.500  0.500  0.500
Sn  0.500  0.500  0.000
S  0.245  0.245  0.257
S  0.264  0.736  0.234
S  0.264  0.736  0.766
S  0.265  0.265  0.763
S  0.735  0.735  0.237
S  0.736  0.264  0.234
S  0.736  0.264  0.766
S  0.755  0.755  0.743

theoretical density = 5748 kg/m³
uncorrected formation energy = -1.0857 eV per atom
volume = 22.85 Å³/atom
........
"Men should help their wives / girlfriends / partners with the household work." AgreeDisagree 97%3% = 28 (agree completely and agree) = 1 (disagree and disagree completely)
"The female students in this class will have the same job and income prospects as the male students when they finish their studies." AgreeDisagree 41%55% = 12 (agree completely and agree) = 16 (disagree and disagree completely)
"Getting a job will raise a person out of poverty." AgreeDisagree 55%28% = 16 (agree completely and agree) = 8 (disagree and disagree completely)
"If a healthy adult person is poor, it is probably his/her own fault." AgreeDisagree 14%66% 0+ 4 = 4 (agree completely and agree) = 19 (disagree and disagree completely)
"There is no true poverty in Austria." AgreeDisagree 3%90% = 1 (agree completely and agree) = 26 (disagree and disagree completely)
"The rich are getting richer and the poor are getting poorer." AgreeDisagree 90%7% = 26 (agree completely and agree) = 2 (disagree and disagree completely)
"Globalization is a natural development that can't be stopped." AgreeDisagree 48%38% = 14 (agree completely and agree) = 11 (disagree and disagree completely)
"Opening up their markets willl help developing countries." AgreeDisagree 55%31% = 16 (agree completely and agree) = 9 (disagree and disagree completely)
"Large corporations have too much power." AgreeDisagree 76%10% = 22 (agree completely and agree) = 3 (disagree and disagree completely)
"Corporations exist to create wealth; their only responsibility is to make profit for shareholders." AgreeDisagree 41%48% = 12 (agree completely and agree) = 14 (disagree and disagree completely)
"A flexible workforce is a good thing." AgreeDisagree 66%17% = 19 (agree completely and agree) = 5 (disagree and disagree completely)
"The education system in Austria is much better than the American one." AgreeDisagree 21%48% = 6 (agree completely and agree) = 14 (disagree and disagree completely)
"American hospitals /doctors refuse treatment to patients without health insurance." AgreeDisagree 38%17% = 11 (agree completely and agree) = 5 (disagree and disagree completely)
"There is no social safety net in the United States." AgreeDisagree 62%28% = 18 (agree completely and agree) = 8 (disagree and disagree completely)